Piaggio Aero presenta il nuovo Hi.Tech. option package per il P.180 Avanti II: nasce la versione P.180 Avanti
Ginevra, 19 Maggio 2008: Piaggio Aero lancia all’EBACE 2008 una nuova opzione per un allestimento interno del P180 Avanti II con accessori tecnologici all’avanguardia, il P.180 Avanti
Celebre per la sua cabina, la più spaziosa e confortevole tra i velivoli della sua categoria, l’Avanti II sarà da oggi dotato di optional tecnologici d'avanguardia offrendo ai passeggeri maggior comfort e implementati business service. L’Avanti definisce un nuovo riferimento tecnologico per gli aerei del suo segmento, posizionandosi al massimo livello di innovazione, comfort ed efficienza di cabina.
Elegante e funzionale, l’Avanti soddisfa tutte le aspettative dei passeggeri più esigenti, fornendo accessori innovativi ed esclusivi ad uso business e flight entrateinement.
“Abbiamo voluto celebrare il grande successo del più elegante e confortevole aereo per l'aviazione affari rendendolo ancora più efficente”, spiega Giuliano Felten, Direttore Commerciale Piaggio Aero "è nostra abitudine cercare di offrire sempre il massimo ai nostri clienti, prevedendo e soddisfacendo le loro aspettative.
“il pacchetto opzionale ad alta tecnologia .it ha un nome mutuato da Internet, per noi significa Information Technology ed Italian Technology ed è esattamente ciò di cui abbiamo ulteriormente dotato il nostro velivolo: alta tecnologia in cabina al servizio di chi lavora e dell'intrateinment di bordo, migliorando ancora l'abitabilità il comfort e l'efficenza della straordinaria cabina del P.180 Avanti II, la più ampia e spaziosa di questo segmento."
L’Avanti è il risultato di un complesso lavoro tecnici e designer di Piaggio Aero, in stretta cooperazione con i partner tecnologici. "Abbiamo completato un'altra missione creando un nuovo ambiente lussuoso ed efficente e combinando al meglio l’ineguagliabile stile del P.180 Avanti II con una ancor più elevata funzionalità”.
L’allestimento P.180 Avanti include i seguenti sistemi:
.it: Broadband connectivity
Specifically designed around business travellers who need to stay connected, the integrated voice and data service enhances passengers and flight crew productivity, offering a new level of cabin communications capability.
This exclusive new system allows the passengers to work with the e-mail, surf the Web, tap into an office network and stay current on the latest news, all at typical DSL broadband speed. Passengers and crew can use their own 802.11b/g-equipped Wi-Fi data devices such as laptops, PDAs, BlackBerry’s®.
Passengers can forget battery shortages, since any portable electronic device can be powered by the universal AC power outlets in the cabin. Broadband data service providers supported are Aircell’s ground-based broadband system Worldwide coverage Immarsat Swift Broadband and Iridium Satcom channels.
.it: IFE - In Flight Entertainment System
At the center of the entertainment system is Rosen’s new RosenView VX combo unit: a world-wide moving map, region-free DVD player, XM radio receiver (North American coverage only) and audio/video switching system contained in one small rugged unit.
With the RosenView VX, passengers can follow the progress of their flight, watch a DVD, listen to their preferred music (MP3 formats supported), or plug in their favorite hand-held audio/video device for their viewing and audio pleasure. Moving map information and video are displayed on two 7” sidewall mounted LCDs and one 10” flip down LCD monitor mounted on the forward cabin ceiling.The hi-fi audio passenger system includes personal wireless headset and top quality loudspeakers with subwoofers.
.it: Mood Lighting System
The Mood Lighting System features intensity and color temperature adjustable LED lights (full color spectrum capability), providing for a huge number of color combinations for upwash and downwash cabin lighting and giving the ability to transition among the colors for different environment scenarios.
The mood LED lights can be adjusted by the passengers through 3 control panels in the cabin (one in the forward partition and two besides the aft seats). The result is a new perception for the passenger, enhancing their comfort and relaxation.
.it: Electrochromic Window Shades
The electrochromic window shades bring to the P.180 Avanti II class of aircraft a further step toward the sophistication, shaping a blend of industrial design, futuristic high technology and functionality. This technology allows each passenger to control/blind the light transmitted through his window utilizing a dimmer located next to the passenger seat.
The Avanti II offers the most spaciousness and comfortable cabin in its class with features that can only be found in aircraft costing more than twice as much. The cabin is six feet one inch wide and five feet nine inches tall. The cabin also sets new standards in terms of quietness and smoothness. The Avanti II cabin is rated as low as 65 SIL dB (Speech Interference Level); quieter than any other business aircraft in its class. The pusher engines direct sound toward the tail of the aircraft, leaving the Avanti II’s cabin virtually free of power plant noise.
The P.180 Avanti II interiors features, among other improvements, redesigned passenger service units with LED upwash and downwash lighting; custom cabinetry, sideledges, and lavatory module; as well as a wide range of trim and finishing materials. All design aspects from the cup holders to the bezels on the light switches and ordinance signs were custom designed for the Avanti II.
Il P.180 Avanti la tua personal Business Lounge nei cieli.
Celebre per la sua cabina, la più spaziosa e confortevole tra i velivoli della sua categoria, l’Avanti II sarà da oggi dotato di optional tecnologici d'avanguardia offrendo ai passeggeri maggior comfort e implementati business service. L’Avanti definisce un nuovo riferimento tecnologico per gli aerei del suo segmento, posizionandosi al massimo livello di innovazione, comfort ed efficienza di cabina.
Elegante e funzionale, l’Avanti soddisfa tutte le aspettative dei passeggeri più esigenti, fornendo accessori innovativi ed esclusivi ad uso business e flight entrateinement.
“Abbiamo voluto celebrare il grande successo del più elegante e confortevole aereo per l'aviazione affari rendendolo ancora più efficente”, spiega Giuliano Felten, Direttore Commerciale Piaggio Aero "è nostra abitudine cercare di offrire sempre il massimo ai nostri clienti, prevedendo e soddisfacendo le loro aspettative.
“il pacchetto opzionale ad alta tecnologia .it ha un nome mutuato da Internet, per noi significa Information Technology ed Italian Technology ed è esattamente ciò di cui abbiamo ulteriormente dotato il nostro velivolo: alta tecnologia in cabina al servizio di chi lavora e dell'intrateinment di bordo, migliorando ancora l'abitabilità il comfort e l'efficenza della straordinaria cabina del P.180 Avanti II, la più ampia e spaziosa di questo segmento."
L’Avanti è il risultato di un complesso lavoro tecnici e designer di Piaggio Aero, in stretta cooperazione con i partner tecnologici. "Abbiamo completato un'altra missione creando un nuovo ambiente lussuoso ed efficente e combinando al meglio l’ineguagliabile stile del P.180 Avanti II con una ancor più elevata funzionalità”.
L’allestimento P.180 Avanti include i seguenti sistemi:
.it: Broadband connectivity
Specifically designed around business travellers who need to stay connected, the integrated voice and data service enhances passengers and flight crew productivity, offering a new level of cabin communications capability.
This exclusive new system allows the passengers to work with the e-mail, surf the Web, tap into an office network and stay current on the latest news, all at typical DSL broadband speed. Passengers and crew can use their own 802.11b/g-equipped Wi-Fi data devices such as laptops, PDAs, BlackBerry’s®.
Passengers can forget battery shortages, since any portable electronic device can be powered by the universal AC power outlets in the cabin. Broadband data service providers supported are Aircell’s ground-based broadband system Worldwide coverage Immarsat Swift Broadband and Iridium Satcom channels.
• Between two parts of the page: molecular data:
┌──
Entry 1:
2 unconnected molecules or ions with the total composition C4H14N2O, computed with ωB97M-V/def2-TZVPD.

Properties
* energy above the lowest of the compared OMol25 structures with the same formula, charge and spin: 16.0 kcal per mole
* lowest unoccupied orbital energy (alpha / beta): 0.134 / 0.131 Ha
* spin multiplicity: 2
* gap between HOMO and LUMO (alpha / beta): 2.49 / 9.31 eV
* charge: -1

Each line ends with the Mulliken spin population.
Element x y z (Å)
C 1.453 1.518 -0.887  0.6839
N 0.059 1.382 -1.264  -0.0101
C -0.151 -1.105 -1.443  0.3569
C -0.683 0.172 -0.810  -0.5078
C -0.641 -0.002 0.739  1.2542
N -1.497 0.904 1.492  -0.1632
H 1.845 2.523 -1.028  -0.2104
H 1.603 1.303 0.155  -0.1871
H 2.119 0.810 -1.396  0.0820
H -0.043 1.350 -2.268  -0.0055
H -0.369 -2.048 -0.964  -0.1735
H 0.938 -1.012 -1.478  -0.0614
H -0.408 -1.210 -2.499  -0.0126
H -1.698 0.474 -1.000  0.0288
H -0.947 -1.014 0.946  -0.2570
H 0.382 0.193 1.028  0.1197
H -2.474 0.660 1.379  -0.0160
H -1.359 1.857 1.188  -0.0121
H 0.769 -2.849 3.161  -0.0541
H 0.732 -1.505 2.557  -0.3110
O 0.370 -2.400 2.392  0.4562



Entry 2:
2 unconnected molecules or ions with the total composition C4H14N2O, computed with ωB97M-V/def2-TZVPD.

Properties
* energy above the lowest of the compared OMol25 structures with the same formula, charge and spin: 15.9 kcal per mole
* lowest unoccupied orbital energy (alpha / beta): 0.147 / 0.143 Ha
* spin multiplicity: 2
* gap between HOMO and LUMO (alpha / beta): 2.74 / 9.59 eV
* charge: -1

Each line ends with the Mulliken spin population.
Element x y z (Å)
C -1.261 -2.044 0.479  2.7685
N -0.059 -1.700 -0.262  -1.9980
C -0.350 -1.409 -1.654  1.4748
H -1.026 -2.297 1.519  0.0526
H -1.920 -1.178 0.517  -0.2197
H -1.837 -2.868 0.032  -0.6071
H 0.589 -2.479 -0.231  0.0157
H 1.064 -0.124 0.051  0.1201
H -0.936 -2.203 -2.143  -0.4873
H 0.583 -1.266 -2.213  0.3166
H -0.936 -0.490 -1.716  -0.2654
C -0.556 1.875 0.946  -0.5316
N 0.605 2.445 0.283  -0.1766
C 1.808 1.673 0.410  0.3641
O 1.827 0.420 -0.241  -0.3346
H -0.340 1.756 2.013  -0.0009
H -0.893 0.906 0.558  0.8336
H -1.404 2.558 0.883  -0.3918
H 0.413 2.634 -0.692  0.0417
H 1.997 1.552 1.484  -0.0264
H 2.634 2.237 -0.024  0.0516



Entry 3:
2 unconnected molecules or ions with the total composition C4H14N2O, computed with ωB97M-V/def2-TZVPD.

Properties
* energy above the lowest of the compared OMol25 structures with the same formula, charge and spin: 18.9 kcal per mole
* lowest unoccupied orbital energy (alpha / beta): 0.128 / 0.126 Ha
* spin multiplicity: 2
* gap between HOMO and LUMO (alpha / beta): 2.42 / 9.05 eV
* charge: -1

Each line ends with the Mulliken spin population.
Element x y z (Å)
C 2.570 0.572 -0.458  0.5560
N 1.267 1.204 -0.270  -0.2916
C 0.158 0.245 -0.424  0.0737
C -0.477 -0.091 0.957  0.2296
N -1.702 0.667 1.205  -0.0828
C -2.486 0.109 2.290  0.0129
H 2.861 0.011 0.446  -0.0936
H 3.354 1.315 -0.624  -0.0496
H 2.625 -0.132 -1.292  -0.1639
H 1.175 1.881 -1.015  0.0367
└──
.it: IFE - In Flight Entertainment System
At the center of the entertainment system is Rosen’s new RosenView VX combo unit: a world-wide moving map, region-free DVD player, XM radio receiver (North American coverage only) and audio/video switching system contained in one small rugged unit.
With the RosenView VX, passengers can follow the progress of their flight, watch a DVD, listen to their preferred music (MP3 formats supported), or plug in their favorite hand-held audio/video device for their viewing and audio pleasure. Moving map information and video are displayed on two 7” sidewall mounted LCDs and one 10” flip down LCD monitor mounted on the forward cabin ceiling.The hi-fi audio passenger system includes personal wireless headset and top quality loudspeakers with subwoofers.
.it: Mood Lighting System
The Mood Lighting System features intensity and color temperature adjustable LED lights (full color spectrum capability), providing for a huge number of color combinations for upwash and downwash cabin lighting and giving the ability to transition among the colors for different environment scenarios.
The mood LED lights can be adjusted by the passengers through 3 control panels in the cabin (one in the forward partition and two besides the aft seats). The result is a new perception for the passenger, enhancing their comfort and relaxation.
.it: Electrochromic Window Shades
The electrochromic window shades bring to the P.180 Avanti II class of aircraft a further step toward the sophistication, shaping a blend of industrial design, futuristic high technology and functionality. This technology allows each passenger to control/blind the light transmitted through his window utilizing a dimmer located next to the passenger seat.
The Avanti II offers the most spaciousness and comfortable cabin in its class with features that can only be found in aircraft costing more than twice as much. The cabin is six feet one inch wide and five feet nine inches tall. The cabin also sets new standards in terms of quietness and smoothness. The Avanti II cabin is rated as low as 65 SIL dB (Speech Interference Level); quieter than any other business aircraft in its class. The pusher engines direct sound toward the tail of the aircraft, leaving the Avanti II’s cabin virtually free of power plant noise.
The P.180 Avanti II interiors features, among other improvements, redesigned passenger service units with LED upwash and downwash lighting; custom cabinetry, sideledges, and lavatory module; as well as a wide range of trim and finishing materials. All design aspects from the cup holders to the bezels on the light switches and ordinance signs were custom designed for the Avanti II.
Il P.180 Avanti la tua personal Business Lounge nei cieli.